Wanted.
Now start at the top of the material further below and echo each line, ending with the one that has "_cell_length_b 9.1091".

Given.
Computed, not measured: a geometry-optimized K3HS3O5 structure at the PBE-GGA level of DFT.

Output
M_tot: 0.11 μB per cell
final energy: -490.96 eV for the cell shown
formation enthalpy at 0 K: -168.3 kJ per mole of atoms

Lattice parameters (Å, degrees): 9.6734 6.1873 31.0444 90.00 98.86 90.00
Space group P2_1/c (No. 14)
Asymmetric unit:
K (0.0096, 0.1978, 0.4476)
K (0.0587, 0.2473, 0.6524)
K (0.2501, 0.0773, 0.2731)
K (0.3109, 0.6758, 0.4639)
K (0.4128, 0.6391, 0.0937)
K (0.4851, 0.1059, 0.1725)
H (0.0676, 0.7076, 0.2356)
H (0.1080, 0.5992, 0.2814)
S (0.1789, 0.7478, 0.1694)
S (0.2190, 0.1758, 0.0515)
S (0.2356, 0.0389, 0.3795)
S (0.2416, 0.1342, 0.8734)
S (0.3360, 0.1823, 0.5097)
S (0.3412, 0.5892, 0.2057)
O (0.0423, 0.7029, 0.2653)
O (0.0717, 0.2484, 0.5395)
O (0.1328, 0.0347, 0.8964)
O (0.2178, 0.0765, 0.8264)
O (0.2276, 0.5633, 0.5453)
O (0.2746, 0.2379, 0.0971)
O (0.2979, 0.1398, 0.7100)
O (0.3724, 0.6968, 0.2486)
O (0.3828, 0.0573, 0.8941)
O (0.4646, 0.5987, 0.1821)

=====

Computed, not measured: a geometry-optimized KH3SO6 structure at the PBE-GGA level of DFT.

Output
M_tot: 0.00 μB per cell
final energy: -465.33 eV for the cell shown
formation enthalpy at 0 K: -150.7 kJ per mole of atoms

Lattice parameters (Å, degrees): 18.4844 7.7496 7.5657 90.00 91.07 90.00
Space group C2/c (No. 15)
Asymmetric unit:
K (0.1806, 0.1214, 0.3769)
H (0.0425, 0.1756, 0.0432)
H (0.0457, 0.3687, 0.3773)
H (0.0498, 0.3107, 0.5737)
S (0.1526, 0.3600, 0.8549)
O (0.0397, 0.2666, 0.4534)
O (0.0809, 0.4128, 0.7887)
O (0.0927, 0.1214, 0.0381)
O (0.1394, 0.2743, 0.0544)
O (0.1854, 0.2252, 0.7479)
O (0.2007, 0.4998, 0.4078)

=====

Computed, not measured: a geometry-optimized KH3S2O8 structure at the PBE-GGA level of DFT.

Output
final energy: -313.10 eV for the cell shown
formation enthalpy at 0 K: -169.7 kJ per mole of atoms

Lattice parameters (Å, degrees): 7.7270 11.6395 8.9240 90.00 112.87 90.00
Space group P2_1/c (No. 14)
Asymmetric unit:
K (0.1374, 0.2494, 0.0543)
H (0.2367, 0.5821, 0.4934)
H (0.2547, 0.6158, 0.8528)
H (0.3612, 0.5729, 0.2041)
S (0.0674, 0.5038, 0.2642)
S (0.4343, 0.7087, 0.0679)
O (0.0387, 0.6048, 0.7577)
O (0.0469, 0.1072, 0.2738)
O (0.1926, 0.5021, 0.4545)
O (0.1981, 0.0029, 0.6790)
O (0.2667, 0.7226, 0.5392)
O (0.3928, 0.2311, 0.9004)
O (0.3965, 0.6280, 0.9192)
O (0.4726, 0.6281, 0.2158)

=====

What is the formula in the second record? KH3SO6

----------

(1)
## Na4Y2Zn2SiS5O24 (PBE)

Data for an optimized crystal structure of Na4Y2Zn2SiS5O24.

```
data_Na4Y2Zn2SiS5O24
_chemical_formula_sum 'Na12 Y6 Zn6 Si3 S15 O72'
_cell_length_a 9.1042
_cell_length_b 9.1091
_cell_length_c 23.2778
_cell_angle_alpha 89.53
_cell_angle_beta 89.76
_cell_angle_gamma 60.42
_symmetry_space_group_name_H-M 'P 1'
_symmetry_Int_Tables_number 1
_symmetry_space_group_name_Hall 'P 1'
loop_
_atom_site_label
_atom_site_type_symbol
_atom_site_fract_x
_atom_site_fract_y
_atom_site_fract_z
Na1 Na 0.0000 0.0000 0.0000
Na2 Na 0.0048 0.9997 0.4853
Na3 Na 0.0315 0.6756 0.0890
Na4 Na 0.0460 0.2954 0.5770
Na5 Na 0.3080 0.6776 0.5680
Na6 Na 0.3186 0.3516 0.1628
Na7 Na 0.3358 0.3106 0.6596
Na8 Na 0.3465 0.0121 0.7395
Na9 Na 0.6587 0.9896 0.2533
Na10 Na 0.6821 0.6490 0.8334
Na11 Na 0.6894 0.6513 0.3265
Na12 Na 0.9678 0.3278 0.9100
Y1 Y 0.3149 0.3517 0.3099
Y2 Y 0.3283 0.3383 0.8177
Y3 Y 0.6570 0.6810 0.4767
Y4 Y 0.6688 0.6606 0.1789
Y5 Y 0.6725 0.6645 0.6835
Y6 Y 0.9975 0.0085 0.6490
Zn1 Zn 0.0026 0.9837 0.3413
Zn2 Zn 0.0089 0.9935 0.1575
Zn3 Zn 0.3450 0.2950 0.5081
Zn4 Zn 0.3459 0.3245 0.0118
Zn5 Zn 0.6558 0.6743 0.9849
Zn6 Zn 0.9896 0.0122 0.8445
Si1 Si 0.3651 0.9744 0.5835
Si2 Si 0.9960 0.7129 0.2422
Si3 Si 0.9976 0.3027 0.7531
S1 S 0.0273 0.6396 0.9190
S2 S 0.0340 0.3221 0.4162
S3 S 0.2908 0.0000 0.2472
S4 S 0.2920 0.7071 0.7498
S5 S 0.3238 0.6329 0.4178
S6 S 0.3365 0.0299 0.9178
S7 S 0.3650 0.6638 0.0755
S8 S 0.6358 0.3352 0.9185
S9 S 0.6386 0.0441 0.4112
S10 S 0.6577 0.3712 0.5784
S11 S 0.6625 0.9685 0.0765
S12 S 0.7039 0.9985 0.7524

Reply.
Computed, not measured: a geometry-optimized K3HS3O5 structure at the PBE-GGA level of DFT.

Output
M_tot: 0.11 μB per cell
final energy: -490.96 eV for the cell shown
formation enthalpy at 0 K: -168.3 kJ per mole of atoms

Lattice parameters (Å, degrees): 9.6734 6.1873 31.0444 90.00 98.86 90.00
Space group P2_1/c (No. 14)
Asymmetric unit:
K (0.0096, 0.1978, 0.4476)
K (0.0587, 0.2473, 0.6524)
K (0.2501, 0.0773, 0.2731)
K (0.3109, 0.6758, 0.4639)
K (0.4128, 0.6391, 0.0937)
K (0.4851, 0.1059, 0.1725)
H (0.0676, 0.7076, 0.2356)
H (0.1080, 0.5992, 0.2814)
S (0.1789, 0.7478, 0.1694)
S (0.2190, 0.1758, 0.0515)
S (0.2356, 0.0389, 0.3795)
S (0.2416, 0.1342, 0.8734)
S (0.3360, 0.1823, 0.5097)
S (0.3412, 0.5892, 0.2057)
O (0.0423, 0.7029, 0.2653)
O (0.0717, 0.2484, 0.5395)
O (0.1328, 0.0347, 0.8964)
O (0.2178, 0.0765, 0.8264)
O (0.2276, 0.5633, 0.5453)
O (0.2746, 0.2379, 0.0971)
O (0.2979, 0.1398, 0.7100)
O (0.3724, 0.6968, 0.2486)
O (0.3828, 0.0573, 0.8941)
O (0.4646, 0.5987, 0.1821)

=====

Computed, not measured: a geometry-optimized KH3SO6 structure at the PBE-GGA level of DFT.

Output
M_tot: 0.00 μB per cell
final energy: -465.33 eV for the cell shown
formation enthalpy at 0 K: -150.7 kJ per mole of atoms

Lattice parameters (Å, degrees): 18.4844 7.7496 7.5657 90.00 91.07 90.00
Space group C2/c (No. 15)
Asymmetric unit:
K (0.1806, 0.1214, 0.3769)
H (0.0425, 0.1756, 0.0432)
H (0.0457, 0.3687, 0.3773)
H (0.0498, 0.3107, 0.5737)
S (0.1526, 0.3600, 0.8549)
O (0.0397, 0.2666, 0.4534)
O (0.0809, 0.4128, 0.7887)
O (0.0927, 0.1214, 0.0381)
O (0.1394, 0.2743, 0.0544)
O (0.1854, 0.2252, 0.7479)
O (0.2007, 0.4998, 0.4078)

=====

Computed, not measured: a geometry-optimized KH3S2O8 structure at the PBE-GGA level of DFT.

Output
final energy: -313.10 eV for the cell shown
formation enthalpy at 0 K: -169.7 kJ per mole of atoms

Lattice parameters (Å, degrees): 7.7270 11.6395 8.9240 90.00 112.87 90.00
Space group P2_1/c (No. 14)
Asymmetric unit:
K (0.1374, 0.2494, 0.0543)
H (0.2367, 0.5821, 0.4934)
H (0.2547, 0.6158, 0.8528)
H (0.3612, 0.5729, 0.2041)
S (0.0674, 0.5038, 0.2642)
S (0.4343, 0.7087, 0.0679)
O (0.0387, 0.6048, 0.7577)
O (0.0469, 0.1072, 0.2738)
O (0.1926, 0.5021, 0.4545)
O (0.1981, 0.0029, 0.6790)
O (0.2667, 0.7226, 0.5392)
O (0.3928, 0.2311, 0.9004)
O (0.3965, 0.6280, 0.9192)
O (0.4726, 0.6281, 0.2158)

=====

What is the formula in the second record? KH3SO6

----------

(1)
## Na4Y2Zn2SiS5O24 (PBE)

Data for an optimized crystal structure of Na4Y2Zn2SiS5O24.

```
data_Na4Y2Zn2SiS5O24
_chemical_formula_sum 'Na12 Y6 Zn6 Si3 S15 O72'
_cell_length_a 9.1042
_cell_length_b 9.1091